European Commission to Extend Deadline for Closing Plastic Additives List
Santa's not the only one making a list and checking it twice. The European Commission (EC) is working to complete its list of plastic additives for food packaging, and apparently is ready to grant a temporary reprieve for those additives not currently included.
The EC is expected to soon vote on the 5th Amendment to the Plastics Directive, which will extend the date when the current list of additives allowed for use in food contact plastic materials will become a closed, "positive list." The EC has asked the member states to consider Jan. 1, 2010, as the new deadline.
Any substance not on the "positive list" can't be used as an additive in plastics after that date. Previously, additives would have been banned if they were not included on one of two lists (that is, the "positive" or "provisional" list) by the end of this year.
As reported in my March 2007, column, the European Commission's Plastics Directive (2002/72/EC) contains a list of additives (in Annex III) that are permitted for use in the manufacture of plastic food contact materials throughout the European Union. This list is still "incomplete" because it does not yet fully harmonize the laws of the EU member states.
# Next to the text, the page also holds data records
+++
LiYSi | PBE-GGA | optimized geometry

D(E_F) = 0.169 states/eV per atom
SG = R-3m (166)
spin magnetization = 0.000 μB/cell
DFT total energy = -30.457 eV/cell
excess energy over the best structure of this formula in the dataset = 137 meV/atom

a = 7.7583 Å, b = 7.7583 Å, c = 7.7583 Å
α = 32.59°, β = 32.59°, γ = 32.59°
Last column: nearest neighbours and their distance in Å.
Atoms (fractional coordinates):
Li (0.1336, 0.1336, 0.1336)  3 Si 2.62, 3 Li 2.90, 3 Y 2.92
Li (0.8664, 0.8664, 0.8664)  3 Si 2.62, 3 Li 2.90, 3 Y 2.92
Y (0.2672, 0.2672, 0.2672)  3 Si 2.91, 4 Li 2.92-2.94
Y (0.7328, 0.7328, 0.7328)  3 Si 2.91, 4 Li 2.92-2.94
Si (0.0000, 0.0000, 0.0000)  6 Y 2.91, 2 Li 2.94
Si (0.5000, 0.5000, 0.5000)  6 Li 2.62

* * * * *

# 1
Computed, not measured: Rb4Ac3PmS8 after structural relaxation at the PBE level of DFT.

abc: 8.7947 9.2518 8.7946
angles: 118.39 120.00 90.00
Atoms (fractional coordinates):
Rb  0.5000  0.0000  0.0000
Rb  0.5000  0.0000  0.5000
Rb  0.0000  0.0000  0.0000
Rb  0.0000  0.0000  0.5000
Ac  0.5000  0.5000  0.0000
Ac  0.5000  0.5000  0.5000
Ac  0.0000  0.5000  0.5000
Pm  0.0000  0.5000  0.0000
S  0.2275  0.6997  0.9723
S  0.2275  0.6997  0.4550
S  0.2649  0.2949  0.5299
S  0.7448  0.6997  0.9723
S  0.2552  0.3003  0.0277
S  0.7351  0.7051  0.4701
S  0.7725  0.3003  0.5450
S  0.7725  0.3003  0.0277

Properties
spin magnetization = 0.00 μB per cell
formation energy (no corrections) = -1.86 eV per atom
DOS at the Fermi energy = 0.00 states/eV/atom
DFT total energy = -83.7 eV for the cell shown



# 2
Computed, not measured: Rb3Ac2PmSe6 after structural relaxation at the PBE level of DFT.

abc: 7.8376 7.8376 8.4557
angles: 98.90 98.90 119.99
Atoms (fractional coordinates):
Rb  0.1675  0.8325  0.5000
Rb  0.8325  0.1675  0.5000
Rb  0.5000  0.5000  0.5000
Ac  0.3335  0.6665  0.0000
Ac  0.6665  0.3335  0.0000
Pm  0.0000  0.0000  0.0000
Se  0.9318  0.6109  0.7954
Se  0.7475  0.7475  0.2045
Se  0.0682  0.3891  0.2046
Se  0.6109  0.9318  0.7954
Se  0.2525  0.2525  0.7955
Se  0.3891  0.0682  0.2046

Properties
spin magnetization = 0.00 μB per cell
formation energy (no corrections) = -1.78 eV per atom
DOS at the Fermi energy = 0.00 states/eV/atom
DFT total energy = -58.1 eV for the cell shown



# 3
Computed, not measured: Rb2AcPmSe4 after structural relaxation at the PBE level of DFT.

abc: 4.4798 7.7680 8.4413
angles: 107.79 90.00 90.00
Atoms (fractional coordinates):
Rb  0.5000  0.0000  0.5000
Rb  0.0000  0.5000  0.5000
Ac  0.0000  0.0000  0.0000
Pm  0.5000  0.5000  0.0000
Se  0.5000  0.2472  0.2058
Se  0.5000  0.7528  0.7942
Se  0.0000  0.2773  0.7993
Se  0.0000  0.7227  0.2007

Properties
spin magnetization = 0.00 μB per cell
formation energy (no corrections) = -1.76 eV per atom
DOS at the Fermi energy = 0.00 states/eV/atom
DFT total energy = -38.8 eV for the cell shown



# 4
Computed, not measured: Rb3AcPm2Se6 after structural relaxation at the PBE level of DFT.

abc: 7.6846 7.6846 8.4374
angles: 98.74 98.74 120.00
+++
# The data records stop here
In 2004, the Plastics Directive was amended (2004/19/EC) to require this incomplete list to eventually be made "complete," and permitted the Commission to establish a "provisional list" of additives that could continue to be used beyond the date chosen by the Commission, pending completion of their review and addition to the positive list.
In following this mandate, the Directorate General for Health and Consumer Affairs (DG SANCO) established a provisional list, which was to be made up of additives that were subject to a petition filed by the end of 2007 and that were currently on the market in the EU. This list and the incomplete list on Annex III were expected to be "closed" as of the end of this year, meaning that many additives that are on neither list would no longer have an acceptable regulatory status as of January 2008.
DG SANCO has announced that, by the end of 2007, a "provisional list" of all substances for which the European Food Safety Authority (EFSA) has accepted petitions prior to Dec. 31, 2006, as well as those that have already been approved, will be published on its website. However, they will not be the only additives permitted for plastics—at least for the time being.
Between two parts of the page: materials data.
┌──
Tl2ZnWF | the Alexandria database | PBE+U | relaxed; total energy = -13.923 eV per cell; Fermi-level density of states = 1.83 states/eV/f.u.; calculated density = 9186 kg/m³
1.0
5.2332 0.0000 0.0000
0.0000 5.2332 0.0000
0.0000 0.0000 4.4687
Tl Zn W F
2 1 1 1
Direct
0.0000 0.5000 0.0000
0.5000 0.0000 0.0000
0.0000 0.0000 0.5000
0.5000 0.5000 0.5000
0.0000 0.0000 0.0000

* * * * *

# K3Pr3HoTe8

A relaxed structure of K3Pr3HoTe8 (PBE, Alexandria).

Lattice parameters (Å, degrees): 15.719 9.068 9.989 90.00 121.65 90.00
Space group C2/m (No. 12)
Inequivalent atoms, fractional coordinates:
K 0.000 0.000 0.000 [2 per cell]
K 0.250 0.250 0.000 [4 per cell]
Pr 0.000 0.500 0.500 [2 per cell]
Pr 0.250 0.250 0.500 [4 per cell]
Ho 0.000 0.000 0.500 [2 per cell]
Te 0.011 0.243 0.290 [8 per cell]
Te 0.232 0.000 0.710 [4 per cell]
Te 0.239 0.500 0.717 [4 per cell]

Calculated values
As for the energy: -134.36 eV for the cell shown. The density of states at the Fermi level comes out at 8.5 states/eV/f.u.

***

# Na2In4Au5

A relaxed structure of Na2In4Au5 (PBE, Alexandria).

Lattice parameters (Å, degrees): 5.778 10.078 18.297 90.00 90.00 90.00
Space group Fmmm (No. 69)
Inequivalent atoms, fractional coordinates:
Na 0.000 0.000 0.172 [8 per cell]
In 0.000 0.159 0.373 [16 per cell]
Au 0.000 0.000 0.500 [4 per cell]
Au 0.250 0.250 0.000 [8 per cell]
Au 0.250 0.250 0.250 [8 per cell]

Calculated values
The calculated formation energy is -214 meV per atom. The density of states at the Fermi level comes out at 3.2 states/eV/f.u.

***

# BaLi5Tl3

A relaxed structure of BaLi5Tl3 (PBE, Alexandria).

Lattice parameters (Å, degrees): 4.854 13.916 13.540 90.00 90.00 90.00
Space group Cmcm (No. 63)
Inequivalent atoms, fractional coordinates:
Ba 0.000 0.163 0.250 [4 per cell]
Li 0.000 0.000 0.000 [4 per cell]
Li 0.000 0.195 0.547 [8 per cell]
Li 0.000 0.425 0.147 [8 per cell]
Tl 0.000 0.117 0.750 [4 per cell]
Tl 0.000 0.393 0.557 [8 per cell]

Calculated values
The calculated formation energy is -202 meV per atom. The density of states at the Fermi level comes out at 5.8 states/eV/f.u.

***

# MgTl4Pb5

A relaxed structure of MgTl4Pb5 (PBE, Alexandria).

Lattice parameters (Å, degrees): 3.474 3.474 25.116 90.00 90.00 90.00
Space group P4/mmm (No. 123)
Inequivalent atoms, fractional coordinates:
Mg 0.000 0.000 0.000 [1 per cell]
Tl 0.000 0.000 0.189 [2 per cell]
Tl 0.000 0.000 0.397 [2 per cell]
Pb 0.500 0.500 0.084 [2 per cell]
Pb 0.500 0.500 0.292 [2 per cell]
Pb 0.500 0.500 0.500 [1 per cell]

Calculated values
The calculated formation energy is -11 meV per atom. The density of states at the Fermi level comes out at 4.4 states/eV/f.u.

***

# TaTi2Ga2

A relaxed structure of TaTi2Ga2 (PBE, Alexandria).

Lattice parameters (Å, degrees): 7.648 7.648 2.838 90.00 90.00 90.00
Space group P4/mbm (No. 127)
Inequivalent atoms, fractional coordinates:
Ta 0.000 0.000 0.000 [2 per cell]
Ti 0.122 0.378 0.000 [4 per cell]
Ga 0.177 0.677 0.500 [4 per cell]

Calculated values
└──
Back to the page.
Under the draft proposal, substances not included in the provisional list will be allowed to remain on the market until at least Jan. 1, 2010, subject to the national law of the member states. This new date takes into account the time needed to transpose the directive into national law and allows time for phasing out of products on the market which are not on the list. However, the final date will depend on feedback from member states.
Thus, it seems that a reprieve—temporary as it may be—is in the works for the plastics industry. However, this should not be taken for granted. It is important that companies that use additives in plastics make sure that those additives are on Annex III or the provisional list, or that their suppliers are taking steps now to ensure that they will continue to be permitted for use after January 2010.
Used with permission. Copyright FOOD & BEVERAGE PACKAGING, December 2007.